### Entries
____________
Below is a cluster of 10 separate species, C38H105N9O10 in total in a non-equilibrium geometry, with properties calculated with ωB97M-V/def2-TZVPD.

Calculated values
Kohn-Sham gap   8.67 eV
Relative energy (zero: lowest compared OMol25 entry of this formula, charge and spin)   6.4709 eV
Calculated total energy   -74984.4412 eV

Cartesian coordinates (Å):
C 2.0389 2.3646 -5.5143
O 0.8237 1.6373 -5.4027
C -0.2905 2.3330 -5.9574
C -1.6156 1.5618 -5.8001
C -2.9372 2.1166 -6.3166
N -1.8489 1.3144 -4.4272
H 2.7938 1.6277 -5.2401
H 2.1275 3.1565 -4.7706
H 2.3341 2.6685 -6.5186
H -0.2514 3.2636 -5.3913
H -0.1266 2.5335 -7.0162
H -1.3385 0.6807 -6.3789
H -2.9838 3.1001 -5.8491
H -3.8237 1.4879 -6.2333
H -2.9533 2.3350 -7.3843
H -0.8899 1.1946 -4.1338
H -2.2228 0.3762 -4.4304
C -3.5025 -5.7313 5.8493
O -3.4846 -4.3545 5.4218
C -2.7258 -3.9274 4.2615
C -3.4686 -4.3223 2.9046
C -2.5855 -3.9996 1.7822
N -4.7493 -3.6019 2.9069
H -3.7527 -6.3027 4.9554
H -4.1300 -5.9974 6.6999
H -2.4959 -5.9852 6.1816
H -2.6447 -2.8418 4.3164
H -1.7040 -4.2957 4.3530
H -3.7661 -5.3696 2.9584
H -3.0609 -4.2252 0.8277
H -1.6672 -4.5861 1.8110
H -2.3343 -2.9402 1.7305
H -5.1900 -3.7673 3.8005
H -5.3682 -3.9190 2.1744
C 1.5555 4.9568 4.4943
O 2.5172 4.0765 3.9346
C 2.0191 2.8467 3.3603
C 3.2144 1.9293 3.0078
C 3.9600 2.5845 1.8440
N 2.8703 0.5811 2.6997
H 2.0421 5.8472 4.8926
H 1.0495 4.4029 5.2851
H 0.8905 5.2615 3.6863
H 1.3566 2.4086 4.1068
H 1.3958 2.9610 2.4734
H 4.0457 1.9779 3.7111
H 4.8975 2.0397 1.7329
H 3.9672 3.6559 2.0444
H 3.4622 2.5673 0.8744
H 3.6822 0.1628 2.2686
H 2.5878 0.0294 3.4972
C 0.5102 5.3505 -2.0406
O -0.7367 4.9837 -1.6572
C -1.4832 4.0946 -2.4679
C -2.8124 3.6316 -1.7623
C -2.4980 2.8716 -0.4335
N -3.7081 2.8110 -2.5603
H 0.6806 5.1127 -3.0906
H 1.1525 4.7858 -1.3648
H 0.6629 6.4144 -1.8591
H -1.7273 4.4880 -3.4547
H -0.8302 3.2382 -2.6358
H -3.2216 4.5515 -1.3447
H -1.9086 2.0005 -0.7195
H -3.4060 2.5166 0.0540
H -2.1441 3.3918 0.4566
H -4.0405 3.4335 -3.2829
H -3.1121 2.1605 -3.0521
C -1.6205 -2.2342 -4.9958
O -2.4479 -1.3328 -4.3533
C -3.6587 -1.8920 -3.8743
C -4.3649 -0.7650 -3.1239
C -3.8063 -0.5446 -1.7086
N -5.7149 -1.0646 -2.7155
H -1.2607 -3.0218 -4.3337
H -0.8354 -1.8306 -5.6352
H -2.1358 -2.7414 -5.8115
H -4.1517 -2.2328 -4.7847
H -3.6041 -2.7532 -3.2084
H -4.4386 0.1645 -3.6884
H -4.1612 -1.1342 -0.8632
H -3.8617 0.4978 -1.3949
H -2.7422 -0.7796 -1.7325
H -5.8491 -0.2945 -2.0759
H -5.7204 -1.8771 -2.1155
C -0.1618 -5.0716 -0.6976
O -0.0780 -5.0060 -2.1297
C 0.9145 -5.7519 -2.7508
C 2.3020 -5.0489 -2.9283
C 2.3385 -3.7224 -3.7416
N 3.3194 -5.9149 -3.3607
H 0.0035 -6.1118 -0.4167
H -1.1969 -4.8920 -0.4074
H 0.5169 -4.4175 -0.1503
H 1.0158 -6.7010 -2.2245
H 0.5198 -6.0570 -3.7199
H 2.4834 -4.7612 -1.8928
H 3.3032 -3.2274 -3.8529
H 1.8066 -3.0043 -3.1176
H 1.9431 -3.8729 -4.7461
H 2.9191 -6.1249 -4.2640
H 3.3507 -6.7589 -2.8069
C 3.8507 1.6501 -2.2396
O 4.4834 2.7943 -2.7984
C 5.7826 3.0485 -2.2566
C 6.5480 4.0669 -3.1014
C 7.1723 3.3708 -4.3021
N 7.4851 4.7182 -2.2268
H 3.0983 1.1500 -2.8495
H 3.5122 1.9686 -1.2537
H 4.3760 0.7859 -1.8330
H 5.7048 3.3871 -1.2234
H 6.3170 2.0987 -2.2336
H 5.9130 4.8873 -3.4358
H 7.8720 2.5905 -4.0028
H 7.7657 4.0469 -4.9177
H 6.4751 2.8867 -4.9859
H 6.9603 5.4299 -1.7389
H 8.1638 5.2937 -2.7045
C 0.4057 -1.4102 4.5207
O 1.5926 -0.8719 5.0978
C 2.4313 -1.9385 5.4680
C 3.3762 -1.3716 6.5711
C 4.2103 -0.0783 6.2686
N 4.1988 -2.5313 6.8741
H -0.2277 -0.6925 3.9995
H -0.2193 -1.9489 5.2329
H 0.7261 -2.0733 3.7170
H 1.8926 -2.7989 5.8649
H 2.9898 -2.2458 4.5839
H 2.7568 -1.2698 7.4623
H 4.5443 0.2812 7.2419
H 3.5741 0.6188 5.7232
H 5.1728 -0.2854 5.8008
H 4.8931 -2.3140 7.5748
H 4.8319 -2.7173 6.1094
C -2.3747 1.3054 5.6235
O -3.3881 1.0661 4.6470
C -3.0108 0.6754 3.2973
C -4.3014 0.4085 2.4874
C -5.3328 1.6066 2.5648
N -5.0144 -0.7082 3.1165
H -1.8724 0.3497 5.7730
H -2.6401 1.7221 6.5951
H -1.6045 1.8855 5.1151
H -2.3535 1.4074 2.8279
H -2.5105 -0.2930 3.3076
H -4.1747 0.1418 1.4381
____________

### Wanted
Find the line earlier on that holds "3.4972", then copy that line and all lines after it there.

### Worked solution
H 2.5878 0.0294 3.4972
C 0.5102 5.3505 -2.0406
O -0.7367 4.9837 -1.6572
C -1.4832 4.0946 -2.4679
C -2.8124 3.6316 -1.7623
C -2.4980 2.8716 -0.4335
N -3.7081 2.8110 -2.5603
H 0.6806 5.1127 -3.0906
H 1.1525 4.7858 -1.3648
H 0.6629 6.4144 -1.8591
H -1.7273 4.4880 -3.4547
H -0.8302 3.2382 -2.6358
H -3.2216 4.5515 -1.3447
H -1.9086 2.0005 -0.7195
H -3.4060 2.5166 0.0540
H -2.1441 3.3918 0.4566
H -4.0405 3.4335 -3.2829
H -3.1121 2.1605 -3.0521
C -1.6205 -2.2342 -4.9958
O -2.4479 -1.3328 -4.3533
C -3.6587 -1.8920 -3.8743
C -4.3649 -0.7650 -3.1239
C -3.8063 -0.5446 -1.7086
N -5.7149 -1.0646 -2.7155
H -1.2607 -3.0218 -4.3337
H -0.8354 -1.8306 -5.6352
H -2.1358 -2.7414 -5.8115
H -4.1517 -2.2328 -4.7847
H -3.6041 -2.7532 -3.2084
H -4.4386 0.1645 -3.6884
H -4.1612 -1.1342 -0.8632
H -3.8617 0.4978 -1.3949
H -2.7422 -0.7796 -1.7325
H -5.8491 -0.2945 -2.0759
H -5.7204 -1.8771 -2.1155
C -0.1618 -5.0716 -0.6976
O -0.0780 -5.0060 -2.1297
C 0.9145 -5.7519 -2.7508
C 2.3020 -5.0489 -2.9283
C 2.3385 -3.7224 -3.7416
N 3.3194 -5.9149 -3.3607
H 0.0035 -6.1118 -0.4167
H -1.1969 -4.8920 -0.4074
H 0.5169 -4.4175 -0.1503
H 1.0158 -6.7010 -2.2245
H 0.5198 -6.0570 -3.7199
H 2.4834 -4.7612 -1.8928
H 3.3032 -3.2274 -3.8529
H 1.8066 -3.0043 -3.1176
H 1.9431 -3.8729 -4.7461
H 2.9191 -6.1249 -4.2640
H 3.3507 -6.7589 -2.8069
C 3.8507 1.6501 -2.2396
O 4.4834 2.7943 -2.7984
C 5.7826 3.0485 -2.2566
C 6.5480 4.0669 -3.1014
C 7.1723 3.3708 -4.3021
N 7.4851 4.7182 -2.2268
H 3.0983 1.1500 -2.8495
H 3.5122 1.9686 -1.2537
H 4.3760 0.7859 -1.8330
H 5.7048 3.3871 -1.2234
H 6.3170 2.0987 -2.2336
H 5.9130 4.8873 -3.4358
H 7.8720 2.5905 -4.0028
H 7.7657 4.0469 -4.9177
H 6.4751 2.8867 -4.9859
H 6.9603 5.4299 -1.7389
H 8.1638 5.2937 -2.7045
C 0.4057 -1.4102 4.5207
O 1.5926 -0.8719 5.0978
C 2.4313 -1.9385 5.4680
C 3.3762 -1.3716 6.5711
C 4.2103 -0.0783 6.2686
N 4.1988 -2.5313 6.8741
H -0.2277 -0.6925 3.9995
H -0.2193 -1.9489 5.2329
H 0.7261 -2.0733 3.7170
H 1.8926 -2.7989 5.8649
H 2.9898 -2.2458 4.5839
H 2.7568 -1.2698 7.4623
H 4.5443 0.2812 7.2419
H 3.5741 0.6188 5.7232
H 5.1728 -0.2854 5.8008
H 4.8931 -2.3140 7.5748
H 4.8319 -2.7173 6.1094
C -2.3747 1.3054 5.6235
O -3.3881 1.0661 4.6470
C -3.0108 0.6754 3.2973
C -4.3014 0.4085 2.4874
C -5.3328 1.6066 2.5648
N -5.0144 -0.7082 3.1165
H -1.8724 0.3497 5.7730
H -2.6401 1.7221 6.5951
H -1.6045 1.8855 5.1151
H -2.3535 1.4074 2.8279
H -2.5105 -0.2930 3.3076
H -4.1747 0.1418 1.4381